By Tamar Fleishman – The West Bank
The detainment of a person that is being transferred by an ambulance to one of the six Palestinian hospitals in East Jerusalem, until the completion of the bureaucratic procedures, falls under the euphemistic title of: "co-ordinations". These entail nothing more than the authorization of the secret services that grant the patient permission to pass through the checkpoint, but they are only the first step on the Via Dolorosa unfolding before the patient until he does (or does not) arrive at his destination.
Despite the fact that the patient’s rights act determines that in cases of medical emergency a person is entitled to receive urgent medical treatment without any preconditions or discriminations, in reality it would take time, in some incidents time that the patient doesn’t have, before he is granted passage.
The mechanism of the occupation is organized so as to make the daily life of the occupied population harder, by rising demands from the individual to carry an innumerable amount of permits that enwrap his existence like layers of an onion. Layer on top of another layer and upon removing them all the naked truth is revealed- the operators of this complex mechanism aren’t the ones to come in contact with the people applying for permits. Those who give the verdict for better or for worse, are the invisibly present- the secret services, who are the only ones to decide if an ill or injured person will arrive at the hospital and receive the treatment he is entitled to by his right and not as some act of kindness.
In the Name of Security
Security is a general code word which is used to prevent the patient from passing the checkpoint. The health coordinators inquire whether the person falls under the laconic category known as: "prevented". Meaning: anyone who had been defined by the GSS as "not clean" and whose entrance into Israel/Greater Jerusalem is strictly prohibited. This prevention requires no explanations. Ambiguity is an efficient tool for establishing authority and creating fear.
In an incident (not an unusual one) that demonstrates how wide is the spread of this arbitrariness, an ambulance from the occupied territories arrived at Qalandiya checkpoint, transferring for urgent treatment at Mokased hospital, a 73 years old heart patient in critical condition. The man, whose life was hanging by a thread, was between life and death and connected to a respiration machine. The ambulance driver had to stop at the entrance of the checkpoint where he phoned the health coordinator and was told that: "no co-ordinations had been preformed". I phoned as well, perhaps attempting to understand or perhaps to influence them, and the replay was: "who does he think he is… that he could just arrive at Qalandiya and pass through to Jerusalem?" This man, like many others- didn’t pass.
• Crystal structures, as found in the file:
Record 1
This record from the Alexandria database describes a relaxed structure of TbDy8Mg2. The functional is GGA-PBE.

Computed properties:
- ΔE to the lowest computed polymorph: 0.000 eV/atom
- Formation energy from the elements: 0.019 eV per atom
- Theoretical density: 7.53 Mg/m³
- Symmetry: C2/m

Cell: 9.1410 9.1410 7.9247 Å, 106.56 106.56 31.70°
Atoms (fractional coordinates):
Tb (0.0000, 0.0000, 0.0000)
Dy (0.0922, 0.0922, 0.4566)
Dy (0.1826, 0.1826, 0.9236)
Dy (0.3600, 0.3600, 0.8051)
Dy (0.4518, 0.4518, 0.2711)
Dy (0.5482, 0.5482, 0.7289)
Dy (0.6400, 0.6400, 0.1949)
Dy (0.8174, 0.8174, 0.0764)
Dy (0.9078, 0.9078, 0.5434)
Mg (0.2724, 0.2724, 0.3648)
Mg (0.7276, 0.7276, 0.6352)

=====

Record 2
This record from the Alexandria database describes a relaxed structure of Be3WI. The functional is GGA-PBE.

Computed properties:
- ΔE to the lowest computed polymorph: 0.753 eV/atom
- Theoretical density: 6.30 Mg/m³
- Symmetry: Pm-3m

Cell: 4.4661 4.4661 4.4661 Å, 90.00 90.00 90.00°
Atoms (fractional coordinates):
Be (0.0000, 0.0000, 0.5000)
Be (0.0000, 0.5000, 0.0000)
Be (0.5000, 0.0000, 0.0000)
W (0.5000, 0.5000, 0.5000)
I (0.0000, 0.0000, 0.0000)

=====

Record 3
This record from the Alexandria database describes a relaxed structure of BaGa2NiAg. The functional is GGA-PBE.

Computed properties:
- Formation energy from the elements: -0.271 eV per atom
- Theoretical density: 6.44 Mg/m³
- Symmetry: P4/mmm

Cell: 4.6807 4.6807 5.2179 Å, 90.00 90.00 90.00°
Atoms (fractional coordinates):
Ba (0.0000, 0.0000, 0.0000)
Ga (0.0000, 0.5000, 0.5000)
Ga (0.5000, 0.0000, 0.5000)
Ni (0.5000, 0.5000, 0.5000)
Ag (0.5000, 0.5000, 0.0000)

=====

Record 4
This record from the Alexandria database describes a relaxed structure of Ca2MgCu4. The functional is GGA-PBE.

Computed properties:
- ΔE to the lowest computed polymorph: 0.137 eV/atom
- Formation energy from the elements: 0.061 eV per atom
- Theoretical density: 3.89 Mg/m³
- Symmetry: I4/mmm

Cell: 6.2046 6.2046 7.9437 Å, 90.00 90.00 90.00°
Atoms (fractional coordinates):
Ca (0.0000, 0.5000, 0.2500)
Ca (0.0000, 0.5000, 0.7500)
Ca (0.5000, 0.0000, 0.2500)
Ca (0.5000, 0.0000, 0.7500)
Mg (0.0000, 0.0000, 0.0000)
Mg (0.5000, 0.5000, 0.5000)
Cu (0.1943, 0.1943, 0.5000)
Cu (0.1943, 0.8057, 0.5000)
Cu (0.3057, 0.3057, 0.0000)
Cu (0.3057, 0.6943, 0.0000)
Cu (0.6943, 0.3057, 0.0000)
Cu (0.6943, 0.6943, 0.0000)
Cu (0.8057, 0.1943, 0.5000)
Cu (0.8057, 0.8057, 0.5000)

=====

Record 5
This record from the Alexandria database describes a relaxed structure of NiSn2C2. The functional is GGA-PBE.

Computed properties:
- ΔE to the lowest computed polymorph: 0.206 eV/atom
- Formation energy from the elements: 1.727 eV per atom
- Theoretical density: 7.32 Mg/m³
- Symmetry: P4/mbm

Cell: 6.7578 6.7578 3.1784 Å, 90.00 90.00 90.00°
Atoms (fractional coordinates):
Ni (0.0000, 0.0000, 0.0000)
Ni (0.5000, 0.5000, 0.0000)
Sn (0.1563, 0.3437, 0.0000)
Sn (0.3437, 0.8437, 0.0000)
Sn (0.6563, 0.1563, 0.0000)
Sn (0.8437, 0.6563, 0.0000)
Once all the co-ordinations had been completed, and all the centers had already checked, assessed and affirmed that the patient is not a security threat, that he is "clean" and may cross through the checkpoint, the way is yet to be paved and open before him.
In 2005 an agreement for cooperation in urgent cases was signed between the Israeli Red Star of David and the Palestinian Red Crescent, according to which six Red Crescent ambulances would be permitted immediate passage to the Palestinian hospitals without the prior arrangement of any co-ordinations. Nonetheless, according the OCHA (the UN’s Office for the Coordination of Humanitarian Affairs), the agreement wasn’t honored and the passage of the patient, regardless of the urgency of his condition, is preformed only by using a procedure known as: "Back-to-Back". The meaning of this is that an ambulance from Jerusalem is sent for, it is then parked by the Palestinian one, the patient is shifted from one stretcher to the other, from one ambulance to the other, the blanket from the occupied territories is taken off his body and a blanket from Jerusalem takes its place, the eyes of unfamiliar soldiers and security guards follow and scan his body and unfamiliar hands rummage through his personal belongings.
Where occupation resides, rights vanish and among them is the right to privacy.
Escorting the Patient
According to the regulations of the occupation, only one person is allowed to escort the patient. A woman’s "dangerousness assessment" is lower than a man’s. That is why in most cases a woman (a mother or a wife) would receive a permit to escort the patient on his way to the hospital, while a man (a father or a husband) would be rejected. But this right as well, as limited as it already is, doesn’t obligate the authorities. The common argument is: "prevented", and it holds more power than the right for an escort and therefore annuls it. I was once present when a baby of seven months, sedated and on life support, was being transferred on her own. Her tiny body lied inside an intensive care unit and a doctor that was summoned was striving to keep her alive. "Where are the parents?" I asked the ambulance driver whom I knew. "They are prevented passage" he replied.
The High Court of Justice
The security mantra that the Israeli society worships, the mantra that causes it to blindly believe anything spokesmen say on behalf of security is also part of the considerations of the High Court of Justice that favors the argument of the military system over the fundamental rights of the Palestinians.
As a result, in April 2008 the HCJ dismissed a petition filed by the Physicians for Human Rights, regarding the regulations for the entrance of Palestinian ambulances into Jerusalem that necessitates the use of the "Back-to-Back" procedure, which in itself may only be preformed after the health coordinator at the civil administration grants her authorization. The court accepted the state’s argument that it fears the possibility that humanitarian gestures could be exploited for acts of terrorism.
Indeed, the judges didn’t ignore the state’s obligation in accordance to the international law, to allow every medical treatment that a patient requires for his recovery, but they fully accepted the position of the Israeli Security Forces regarding the danger that entails a direct passage of patients from the occupied territories to the hospitals in East Jerusalem, and understood the current state to be: "a balance between medical requirements and security requirements".
(Translated by Ruth Fleishman)
– As a member of Machsomwatch, once a week Tamar Fleishman heads out to document the checkpoints between Jerusalem and Ramallah. This documentation (reports, photos and videos) can be found on the organization’s site: www.machsomwatch.org. She is also a member of the Coalition of Women for Peace and volunteer in Breaking the Silence. She contributed this article to PalestineChronicle.com.